Crowdfounding Inês

Blog, Crowdfounding Inês

Small artwork / petites illustrations

(this page relates to our crowdfunding campaign rening right now for our music and book project Inês. Please have first a look at the general campaign!) / (cette page concerne la campagne de financement participatif de notre projet de livre/album Inês. Merci de consulter d’abord la page en français du financement participatif pour y comprendre quelque chose!)

(français plus bas) For a contribution of 90€ you get to choose any of the following art-work pieces. They’re all on watercolor paper (professional quality), and will need to be framed. They all include collage and a mixture of techniques and materials, sizes are different, check each for details. When contributing on indiegogo, please add the title of the piece you choose, or we’ll get back to you.

Pour une contribution de 90€ à notre projet, vous recevrez une illustration originale ayant servi à la réalisation du livre. Toutes les pièces sont uniques, sur papier aquarelle de qualité professionnelle, sans encadrement, et incluent beaucoup de collage parmis les techniques utilisées. Référez-vous à chaque pièce pour les dimensions. Lors de votre contribution sur indiegogo (en anglais), indiquez nous le titre que vous choisissez, sinon nous reviendrons vers vous.

  • 1. The boat – Le bâteau

Ar Maured o kuitaat Iberia / The Moors driven away from the Peninsula. Artwork for the concept album Inês (medieval love story between Pedro King of Portugal and Inês de Castro)

For song n°1 The triumph of King Alfonso. 30.5*23 cm approx 12*9 inches.

Pour le titre n°1 Le retour victorieux du Roi Alfonso. 30.5*9 cm.

  • 2. Water Spirit 1 / Sylphe 1 (already chosen / déjà choisie)

Water Spirit 1 full

For song n°5 Gwerz Inês, 32*24 cm approx 12.59*9.44 inches

Pour le titre n°5 Gwerz Inês, 32*24 cm.



  • 3. Water Spirit 2 / Sylphe 2

Water Spirit 2 full

For song n°5 Gwerz Inês, 32*24 cm approx 12.59*9.44 inches

[Quantum chemistry results, as found in the file]
+++
The following is a quantum chemistry calculation of C35H52ClPPt as an isolated structure at a distorted geometry, from the OMol25 dataset.

Last column: Löwdin charge in e.
CARTESIAN COORDINATES (ANGSTROEM)
1 Pt 0.542 0.323 0.102  0.67
2 P 0.142 0.570 -2.090  0.97
3 Cl 1.438 2.487 0.136  -0.01
4 C -1.920 -0.421 -0.707  -0.22
5 H -2.641 -0.476 -1.510  0.05
6 H -2.018 0.532 -0.182  0.06
7 C 1.994 0.747 -2.598  -0.43
8 C -0.774 2.189 -2.428  -0.42
9 C 2.428 0.873 -4.066  -0.21
10 H 2.229 1.692 -2.080  0.03
11 C 3.901 1.301 -4.137  -0.19
12 H 2.306 -0.103 -4.565  0.10
13 H 1.806 1.602 -4.604  0.09
14 C 4.845 0.420 -3.301  -0.20
15 H 4.209 1.294 -5.185  0.11
16 H 3.971 2.344 -3.779  0.12
17 C 4.302 0.072 -1.903  -0.19
18 H 5.037 -0.517 -3.852  0.11
19 H 5.806 0.928 -3.209  0.10
20 C 2.828 -0.353 -1.929  -0.24
21 H 4.915 -0.718 -1.455  0.11
22 H 4.391 0.962 -1.258  0.12
23 H 2.716 -1.303 -2.481  0.11
24 H 2.503 -0.544 -0.885  0.05
25 C -0.548 -0.550 -3.473  -0.36
26 C -2.240 2.015 -2.843  -0.21
27 H -0.732 2.643 -1.421  0.06
28 C -2.957 3.354 -2.706  -0.19
29 H -2.309 1.696 -3.892  0.10
30 H -2.746 1.242 -2.259  0.08
31 C -2.288 4.440 -3.552  -0.20
32 H -4.001 3.233 -2.993  0.11
33 H -2.940 3.651 -1.642  0.12
34 C -0.756 4.504 -3.420  -0.18
35 H -2.544 4.268 -4.616  0.12
36 H -2.702 5.413 -3.290  0.10
37 C -0.055 3.138 -3.388  -0.21
38 H -0.338 5.088 -4.239  0.11
39 H -0.502 5.027 -2.482  0.12
40 H -0.047 2.706 -4.404  0.10
41 H 0.993 3.273 -3.085  0.11
42 C 0.191 -1.884 -3.605  -0.20
43 H -1.562 -0.729 -3.082  0.09
44 C -0.546 -2.832 -4.562  -0.18
45 H 1.204 -1.686 -3.992  0.10
46 H 0.318 -2.390 -2.639  0.09
47 C -0.837 -2.206 -5.930  -0.20
48 H 0.061 -3.733 -4.690  0.11
49 H -1.494 -3.131 -4.090  0.11
50 C -1.394 -0.781 -5.851  -0.18
51 H 0.090 -2.199 -6.530  0.12
52 H -1.544 -2.832 -6.477  0.11
53 C -0.619 0.095 -4.868  -0.20
54 H -1.353 -0.304 -6.835  0.11
55 H -2.448 -0.808 -5.541  0.12
56 H 0.412 0.238 -5.232  0.10
57 H -1.065 1.094 -4.850  0.07
58 C -0.361 -1.694 -0.036  -0.27
59 C -2.040 -1.792 -0.381  -0.28
60 H 0.068 -1.901 -1.016  0.01
61 C -2.862 -2.532 0.780  -0.15
62 H -2.206 -2.484 -1.306  0.15
63 C -2.096 -2.905 2.038  -0.19
64 H -3.662 -1.831 1.015  0.10
65 H -3.377 -3.471 0.435  0.12
66 C -0.686 -3.602 1.746  -0.17
67 H -1.962 -1.994 2.639  0.09
68 H -2.636 -3.638 2.649  0.10
69 C 0.228 -2.685 0.963  -0.24
70 H -0.184 -3.882 2.691  0.11
71 H -0.854 -4.545 1.203  0.11
72 H 0.978 -2.128 1.604  0.09
73 H 0.892 -3.319 0.331  0.11
74 C 3.698 -0.911 4.704  -0.09
75 C 3.825 -0.921 3.323  -0.07
76 C 2.765 -0.478 2.513  -0.05
77 C 1.552 -0.119 3.096  -0.21
78 C 0.430 0.189 2.310  -0.18
79 C -0.848 0.383 2.792  -0.11
80 C -1.017 0.392 4.221  -0.07
81 C 0.079 0.101 5.034  -0.03
+++
[The quantum chemistry results stop here]

Pour le titre n°5 Gwerz Inês, 32*24 cm.



  • 4. Water Spirit 3 / Sylphe 3

Water Spirit 3 face.JPG

For song n°5 Gwerz Inês, 25*18 cm approx 9.84*7.08 inches

Pour le titre n°5 Gwerz Inês, 25*18 cm.

  • 5. The swans / Les Cygnes

    Swans full

For song n°3 The Hunt, 32*24 cm approx 12.59*9.44 inches

Pour le titre n°3 La Chasse, 32*24 cm



  • 6. The Knight / Le Chevalier

    Knight full

For song n°4 Inês Trial 30.5*23 cm approx 12*9 inches.

Pour le titre n°4 Le Jugement d’Inês 30.5*9 cm.



to Indiegogo campaign now! 


For this reward we will also include / dans cette récompense il y a également :

+ Hand numbered copy of the Album/book freshly arrived from the factory / un exemplaire numéroté du libre/album à sa sortie

 1 cover artwork repro A5 size on 300g/m² light cardboard / une reproduction de la couverture en format A5 sur carton léger 300g/m2

+  4 Postcards set (artwork repros from Simone’s artwork used for album covers A6 size) / la série de 4 cartes postales des couvertures des albums d’Astrakan Project 

 Full album download ( It will come with the lyrics+translations in french and english on a nice PdF)  / le téléchargement de l’album (avec l’intégralité des traduction en anglais et français en format PdF)

Blog, Crowdfounding Inês

Doubting aka when your crowdfunding campaign doesn’t go as expected

It’s really been 12 very long days for both of us. 12 days since we launched the crowdfunding campaign, and they seem like months.

12 days with some hopes, some joy, but mostly doubts, and honestly, we weren’t really prepared. We weren’t prepared to how it would affect us, because it does affect us, and to be honest not in the best way. Surely everyday life had recently left us tired, and with limited time to work on music in the perfectionist way that we like. But we weren’t expecting that the campaign itself would be so emotionally draining, and we really start to find it even more complicated to focus on what we love: create music, create art, imagine sounds, or rather layers of sounds.

facsimile livre
testing the book size home – it’s quite nicely large to allow for nice extra artwork and still be readable. 

12 days means we’re halfway tomorrow from the deadline that we set for the 21st of June. It means we should have got at least half of our budget covered, or actually more, since it is hard to keep up with the energy as the days passe by, specially when we’re a small team of 2 people. It’s complicated to come up with new content daily, to re-share, to get in touch back with all the people that said would help promote the campaign and did not yet come back to us. And so far we haven’t reached 24%. Sometimes numbers speak for themselves. Let’s face it.

Some years ago, we would have tried to release it on personal finances, and then get the money back from sales. But we are at the moment not gigging enough to get some direct sales opportunities. Also the local labels we’ve been in touch with, although they did show some interest, did not lead to any production proposal. All that means crowdfunding really seemed like the only option we had, and with a few people on our mailing list, we thought we could easily reach enough folks willing to invest some pennies.


Now, yes, we do (try to) keep positive, we have been practicing how to sometimes fail and keep it up for quite a few years, and we are the living proof it is possible! (some useful tools here).

  • I made a list of all we will do if by the 21st of June we hadn’t reached the 3000€ goal. And well, that felt good. It includes some travelling with no other purpose than travelling. It includes also some time with our lovely son, who has for most of his young life heard about the album Inês, and from whom we’ve asked a lot of patience while working in the studio and postponing playtime.
  • We also are sure we’ll finish the musical part of the project, meaning having a digital edition. Maybe release it digitally, though it’s still costs for us, and we earn even less from digital editions. Or save it for later, who knows what’s around the corner?
  • We’ll probably send a new newsletter out and ask for what folks think isn’t appealing in our project. Or on the way we presented it. Maybe too complex, when you only have seconds to convince people, we know our music needs time to dive in.
  • If nothing moves by the end of next week, that is by the 17th, we’ll also consider canceling the campaign before its deadline so that we can plan for next summer instead of being waiting.

Anyway, I personally want to hear it from start to finish, I’d rather say, I need to hear it, and just that thought (together with the lovely and generous support of a few of you) gets me back on track.

But right now, everything is still possible – indiegogo page is here is you want to support us 🙂 

A galon / with heart,

* Simone.

Blog, Crowdfounding Inês

9 paintings for 9 songs

(this page relates to our crowdfunding campaign rening right now for our music and book project Inês. Please have first a look at the general campaign!) / (cette page concerne la campagne de financement participatif de notre projet de livre/album Inês. Merci de consulter d’abord la page en français du financement participatif pour y comprendre quelque chose!)

For this perk of 180€ you will be able to choose from 9 main compositions on canvas, size is 40*50 cm minimum (approx 15.74*19.68 inch), or bigger, corresponding to the 9 songs of the album, pictures will be posted as they are ready, though they still might be work in progress at the end of the campaign. (please keep in mind that all this is a creative process, what is planed can change, inspiration is someone you don’t control easily!). In any case, we’ll come back individually to each of you, and it will be possible to change your mind even after the campaign if you like one of the paintings best 🙂

  1. Alfonso return (opening song of the album, will feature the King, and a castle with a blue village, musicians)
  2. Inês and Pedro
    2 full 1
    Pedro & Inês – song n°2 An Emgav – on canvas 50*40

    2 full sag

  3. Inês dress (for the song “The hunt and the prophecy”, will feature Inês in monastery Santa Clara, before Pedro’s departure, with scenes from the prophecy on her dress) – this canvas is already reserved by someone!
  4. The Judgment (king and knights around the table with little couple couple of Pedro & Inês symbolically in the middle of the table)
  5. Gwerz Inês
    5 full 1.jpg
    Inês ha merch’ed Mondego – Inês and the water spirits – song n°5 Gwerz Inês – on canvas 50*40

    5 full sag

  6. Gwerz Pedro (most likely a tortured portrait of Pedro)
  7. The secret wedding (Pedro and Inês’ ghost above the knights meeting room and the scribe)
  8. The revenge (most likely some castles with a banquet scene. )
  9. The Coronation (will feature Inês on her throne, with scenes from the story around her, and Pedro’s hands coronating her)

Back to indiegogo campaign here

In any case, feel free to reach out for more info!


Back to indiegogo campaign here



Blog, Crowdfounding Inês

Canvasses from previous projects

(this page relates to our crowdfunding campaign rening right now for our music and book project Inês. Please have first a look at the general campaign!) / (cette page concerne la campagne de financement participatif de notre projet de livre/album Inês. Merci de consulter d’abord la page en français du financement participatif pour y comprendre quelque chose!)

For this reward you can choose from 3 portraits used for 3 albums/projects :

1 Hathor

She was the face of first Astrakan album in 2012, canvas on cardboard with plenty of collage elements and textures. 35*60 cm.



2 Thetis 

Painted for Within the Circle cover in Istanbul in 2013, 35*35 cm on canvas (about 13.77*13.77 inches). Mixed media with a lot of collage and acrylic paint. Thetis is greek Goddess/water spirit. It’s ready to hang and won’t need any extra framing (sides are also painted) – but you still can if you want 🙂

3 Innana

She was painted during sunny greek winter 2015 for a flemish song cover we did. Because of the song’s theme, babel tower is represented on the body of this mesopotamian Goddess. Size 30*40cm (about 11.81*15.74 inches), on canvas. She’s ready to hang and will need no extra framing as sides are painted.


This reward goes to a 350€ contribution on our Indiegogo campaign and will come with : 

+ album/book freshly arrived from the factory, hand numbered
+ your name in the book
+ full digital edition
+ 1 postcard on tour
+ A5 size Inês artwork repro on cardboard
+ 1 of 4 A6 postcards repros

Release expected time is beginning of August.

If you opt for this perk, scroll down on indiegogo until you find it, and pick up the title of the painting you wish for on the pop up window.